Job =
Next, retype every line below that contains the word "angstrom".

Source =
- - -
! Er2ThRuN4, relaxed, DFT PBE; values from VASP
! Mass density, Mg/m³: 10.5
! Total magnetization, μB per formula unit: 0.0
! VASP energy, eV per atom: -8.54
! Energy relative to the elements, uncorrected, eV/atom: -1.146
&SYSTEM
  ibrav = 0, nat = 16, ntyp = 4
/
ATOMIC_SPECIES
Er 167.26 Er.upf
Th 232.04 Th.upf
Ru 101.07 Ru.upf
N 14.01 N.upf
CELL_PARAMETERS angstrom
3.4148 0.0000 0.0000
-1.7074 5.8408 0.0000
0.0000 0.0000 11.4276
ATOMIC_POSITIONS crystal
Er 0.3701 0.7403 0.5479
Er 0.6299 0.2597 0.0479
Er 0.6299 0.2597 0.4521
Er 0.3701 0.7403 0.9521
Th 0.1142 0.2285 0.7500
Th 0.8858 0.7715 0.2500
Ru 0.8559 0.7118 0.7500
Ru 0.1441 0.2882 0.2500
N 0.2729 0.5457 0.1277
N 0.7271 0.4543 0.6277
N 0.7271 0.4543 0.8723
N 0.2729 0.5457 0.3723
N 0.0000 0.0000 0.5000
N 0.0000 0.0000 0.0000
N 0.4566 0.9131 0.7500
N 0.5434 0.0869 0.2500

=====

! YEr2RuN4, relaxed, DFT PBE; values from VASP
! Mass density, Mg/m³: 8.6
! Total magnetization, μB per formula unit: 0.0
! VASP energy, eV per atom: -8.33
! Energy relative to the elements, uncorrected, eV/atom: -1.058
&SYSTEM
  ibrav = 0, nat = 16, ntyp = 4
/
ATOMIC_SPECIES
Y 88.91 Y.upf
Er 167.26 Er.upf
Ru 101.07 Ru.upf
N 14.01 N.upf
CELL_PARAMETERS angstrom
3.3666 0.0000 0.0000
-1.6833 5.7429 0.0000
0.0000 0.0000 11.5314
ATOMIC_POSITIONS crystal
Y 0.1297 0.2595 0.7500
Y 0.8703 0.7405 0.2500
Er 0.3688 0.7376 0.5418
Er 0.6312 0.2624 0.0418
Er 0.6312 0.2624 0.4582
Er 0.3688 0.7376 0.9582
Ru 0.8655 0.7310 0.7500
Ru 0.1345 0.2690 0.2500
N 0.2671 0.5341 0.1289
N 0.7329 0.4659 0.6289
N 0.7329 0.4659 0.8711
N 0.2671 0.5341 0.3711
N 0.0000 0.0000 0.5000
N 0.0000 0.0000 0.0000
N 0.4528 0.9055 0.7500
N 0.5472 0.0945 0.2500

=====

! Er2SN, relaxed, DFT PBE; values from VASP
! Mass density, Mg/m³: 9.2
! Energy relative to the lowest polymorph listed for this composition, meV/atom: 0
! Total magnetization, μB per formula unit: 0.0
! VASP energy, eV per atom: -7.27
! Energy relative to the elements, uncorrected, eV/atom: -1.876
&SYSTEM
  ibrav = 0, nat = 4, ntyp = 3
/
ATOMIC_SPECIES
S 32.06 S.upf
N 14.01 N.upf
Er 167.26 Er.upf
CELL_PARAMETERS angstrom
3.5787 0.0000 0.0000
1.7894 3.0993 0.0000
1.7894 1.0331 6.1957
ATOMIC_POSITIONS crystal
S 0.0000 0.0000 0.0000
N 0.5000 0.5000 0.5000
Er 0.7639 0.7639 0.7082
Er 0.2361 0.2361 0.2918

=====

! Er2SN, relaxed, DFT PBE; values from VASP
! Mass density, Mg/m³: 9.1
! Energy relative to the lowest polymorph listed for this composition, meV/atom: 55
! Total magnetization, μB per formula unit: 0.0
! VASP energy, eV per atom: -7.22
! Energy relative to the elements, uncorrected, eV/atom: -1.821
&SYSTEM
  ibrav = 0, nat = 4, ntyp = 3
/
ATOMIC_SPECIES
Er 167.26 Er.upf
S 32.06 S.upf
N 14.01 N.upf
CELL_PARAMETERS angstrom
-3.3012 1.1755 0.5801
-2.6178 -0.8840 -2.2319
-3.2007 -5.0715 2.9365
ATOMIC_POSITIONS crystal
Er 0.0673 0.0673 0.7980
Er 0.2638 0.2638 0.2085
S 0.4990 0.4990 0.5031
N 0.6698 0.6698 0.9905
- - -

Here it is =
CELL_PARAMETERS angstrom
CELL_PARAMETERS angstrom
CELL_PARAMETERS angstrom
CELL_PARAMETERS angstrom